
Riz Stumbled at School

Rizza Heron was a girl with curly hair that cascaded in untamed waves around her face. Her fair complexion made her stand out in the classroom, but unfortunately, it also made her a target for her classmates' unkind words.

Ever since grade school, Rizza had endured the taunts and teasing of her peers. They would mock her for being too skinny, too curly-haired, and find any small difference to highlight and criticize. "You're so weird," they would say. "Your hair looks like a bird's nest," or "You're too pale to be normal."

At first, the words stung. Rizza would come home with tears in her eyes, wondering why she didn't fit in like the other kids. But over time, she learned to build a thick skin. She realized that their words were a reflection of their own insecurities, not a measure of her worth.

Instead of letting the bullying break her spirit, Rizza focused on the things she loved. She poured her energy into her studies, where she found solace in books and learning. She discovered a talent for painting, losing herself in swirls of color that expressed emotions words couldn't capture.

Slowly, Rizza began to find her own confidence. She started to see her curly hair not as a burden but as a unique feature that set her apart. She embraced her slender frame, realizing that her body was strong and capable.

As she grew older, Rizza's classmates' teasing became background noise. Their words no longer had the power to hurt her because she had found her own inner strength. She surrounded herself with friends who appreciated her for who she was, not for how she looked or dressed.

By the time high school came around, Rizza had become a role model for resilience. She stood up against bullying, not just for herself but for others who faced similar challenges. Her confidence and kindness inspired those around her, and slowly, the culture of her school began to shift.

Rizza Heron's story wasn't just about surviving bullying; it was about thriving despite it. She had turned her pain into strength, her differences into assets. And as she walked across the stage at graduation, curly hair bouncing with pride, she knew that she had become someone her younger self would be proud of.

Riz grew up in a quaint village nestled far away from the bustling city life. From a young age, she understood the value of hard work and perseverance, instilled in her by her family who worked tirelessly to make ends meet.

Despite the tranquil surroundings of her village, Riz faced challenges that tested her resolve. School, once a place for learning and friendship, became a battleground of taunts and jeers. Her peers, perhaps threatened by her determination and different upbringing, found ways to belittle her. "You'll never leave this village," they would scoff. "You're just a small-town girl with big dreams."

But Riz refused to let their words define her. Instead, she channeled their negativity into fuel for her ambitions. Every insult became a stepping stone, propelling her forward toward her goals. She buried herself in books, absorbing knowledge like a sponge. Her grades soared as she devoured every opportunity to excel academically.

Outside of school, Riz became her family's pillar of strength. She took on responsibilities beyond her years, helping her parents with chores and caring for her younger siblings. Her dreams were not just for herself but for her family's future—a future where they could have more than the village could offer.

Despite the challenges and the loneliness of being misunderstood, Riz remained steadfast. She knew that her journey was not just about proving her detractors wrong but about creating a path to a better life. With each passing year, her determination grew stronger, fueled by the love and support of her family.

When the time came to pursue her dreams beyond the village, Riz was ready. Armed with resilience and a relentless work ethic, she secured scholarships and opportunities that seemed out of reach to many from her small community. Her journey was a testament to her unwavering spirit and the belief that where you come from does not dictate where you can go.

As she left the village behind, Riz carried with her the lessons learned from both the struggles and triumphs. She knew that the road ahead would not be easy, but she also knew that she had the strength to overcome any obstacle. And as she looked back at the village that had shaped her, she felt gratitude—for it was there that she had learned the power of perseverance and the true meaning of resilience.

It was a crisp, promising morning as Riz made her way through the quiet alley leading to her college dormitory. She had already been in her fourth year of studying computer science, a field that ignited her passion and fueled her dreams. Today, however, her focus was on an upcoming English exam, determined to achieve a high score that would reflect her dedication and hard work.

Lost in thought, Riz walked briskly with her arms full of textbooks, her mind racing through the lessons she had been revising. As she turned a corner, she encountered a group of familiar faces—men from her class at Palau University. One of them, carrying a basketball, looked up just as Riz stumbled over an uneven stone in the alley.

Books scattered in all directions as Riz tried to regain her balance, her heart racing with embarrassment. The men instinctively moved forward to help, one of them swiftly bending down to gather her fallen books. "Are you okay?" he asked with genuine concern, his voice breaking the awkward silence.

Attached: data records
+++
Entry 1:
DFT (ωB97M-V with the def2-TZVPD basis set) results for one molecule with the formula C4H9NS in a non-equilibrium geometry.

Output
* spin multiplicity: 1
* SMILES string: SCCN1CC1
* DFT total energy: -16617.6451 eV

Element x y z (Å)
C1 -0.087 0.909 -0.640
C2 -0.010 -0.060 0.586
C3 -0.704 -2.284 -0.229
C4 -0.791 -2.238 1.256
H1 2.191 1.533 -0.896
H2 -0.965 1.512 -0.648
H3 -0.017 0.347 -1.584
H4 -0.100 0.590 1.441
H5 0.999 -0.487 0.707
H6 -1.550 -2.715 -0.800
H7 0.244 -2.207 -0.769
H8 0.136 -2.277 1.812
H9 -1.631 -2.834 1.712
N1 -1.076 -1.047 0.557
S1 1.111 2.244 -0.669

Electronic structure analysis, natural (NBO) charges in units of e: C -0.520; C -0.236; C -0.285; C -0.246; H 0.106; H 0.225; H 0.212; H 0.205; H 0.166; H 0.209; H 0.196; H 0.190; H 0.205; N -0.401; S -0.023



Entry 2:
DFT (ωB97M-V with the def2-TZVPD basis set) results for a 7-piece molecular cluster, C22H32Cl6O15 overall in a non-equilibrium geometry.

Output
* spin multiplicity: 1
* SMILES string: C[C@H]1COC(=O)O1.C[C@H]1COC(=O)O1.C[C@H]1COC(=O)O1.C[C@H]1COC(=O)O1.C[C@H]1COC(=O)O1.ClC(Cl)Cl.ClC(Cl)Cl
* DFT total energy: -129180.4121 eV

Element x y z (Å)
C1 9.638 7.831 7.949
C2 9.440 8.254 9.378
C3 10.529 7.518 10.275
O1 11.414 8.569 10.614
C4 10.945 9.780 10.187
O2 11.574 10.767 10.377
O3 9.794 9.615 9.581
H1 10.708 7.757 7.761
H2 9.237 8.604 7.189
H3 9.227 6.849 7.718
H4 8.430 8.153 9.641
H5 11.030 6.708 9.784
H6 10.129 7.137 11.205
C5 8.066 8.681 15.745
C6 9.229 8.212 14.901
C7 10.601 8.788 15.153
O4 11.486 7.655 15.144
C8 10.724 6.492 15.256
O5 11.153 5.421 15.338
O6 9.411 6.773 15.226
H7 7.118 8.018 15.660
H8 7.770 9.706 15.508
H9 8.467 8.646 16.798
H10 9.035 8.337 13.814
H11 10.605 9.213 16.145
H12 10.977 9.528 14.442
C9 13.798 10.491 13.020
C10 14.767 11.313 12.181
C11 14.841 12.831 12.235
O7 16.231 13.090 12.238
C12 16.939 12.021 12.545
O8 18.128 12.029 12.802
O9 16.167 10.886 12.490
H13 14.013 9.439 12.970
H14 12.778 10.571 12.586
H15 13.876 10.735 14.084
H16 14.617 11.017 11.140
H17 14.471 13.420 13.061
H18 14.477 13.346 11.323
C13 13.020 13.148 18.575
C14 12.290 13.614 17.301
C15 13.248 14.163 16.266
O10 12.771 13.623 15.006
C16 11.826 12.673 15.283
O11 11.249 12.096 14.453
O12 11.580 12.578 16.666
H19 13.756 12.441 18.200
H20 12.361 12.605 19.262
H21 13.550 13.998 18.979
H22 11.539 14.318 17.659
H23 14.199 13.649 16.477
H24 13.293 15.233 16.147
C17 9.159 17.882 13.371
C18 8.703 17.782 14.792
C19 7.836 16.545 15.082
O13 8.645 15.741 15.954
C20 9.715 16.413 16.346
O14 10.508 15.997 17.101
O15 9.791 17.596 15.736
H25 8.304 18.089 12.748
H26 9.604 16.911 12.993
H27 9.876 18.701 13.172
H28 8.128 18.679 15.079
H29 7.653 15.876 14.260
H30 6.918 16.811 15.634
C21 6.865 10.854 12.370
Cl1 6.032 10.181 10.935
Cl2 8.533 10.302 12.570
Cl3 5.968 10.409 13.868
H31 6.896 11.951 12.355
C22 9.861 13.457 11.908
Cl4 8.850 13.235 10.441
Cl5 8.840 13.968 13.156
Cl6 11.102 14.709 11.581
H32 10.325 12.512 12.082
+++
Here the text continues

Riz nodded, feeling a rush of relief mixed with a tinge of blush. "Yes, thank you," she managed to reply, accepting the books he offered back to her. Her classmates exchanged glances, their expressions softening as they recognized her from their college lectures.

"Hey, you're in our computer science class, right?" one of them ventured, a smile spreading across his face. Riz nodded again, feeling a surge of warmth at their unexpected kindness. Despite the initial stumble, the encounter had turned into a moment of connection rather than embarrassment.